

the show

Last Child in the Woods

air date: November 25, 2017

More than ever, getting our children (and us!) outside is essential.  Richard Louv, author of Last Child in the Woods, The Nature Principle and Vitamin N: The Essential Guide to a Nature-Rich Life, examines nature-deficit disorder and how it impacts us. On tour, Deborah Paradez and Frank Guridy turned lawn into organic food when their daughter was born, thanks to Randy Jewart of Resolution Gardens. Daphne explains why ‘Orient’ pears can be rock hard and how to soften. See why viewers love their Stapalia gigantea, the carrion plant, which fends off deer with beautiful blooms that catch flies! Trisha crafts gorgeous cut flower designs with garden and store bought flowers.



Episode Segments

On Tour

Food, not Lawns, Family Garden

This garden began when a little girl was born. Until then, Deborah Paredez and Frank Guridy had never grown food. To turn their lawn into organic vegetables and fruits, they enlisted Randy Jewart of Resolution Gardens to educate them and in turn, daughter Zaya.

Watch more "On Tour" videos on YouTube →

Question of the Week

Why are some pears rock-hard at harvest & how to soften them?

Thanks to Patricia and Jennifer Loth for this great question about their pear tree fruit. In October 2016, they picked the fruit and froze them. About six weeks later, they removed the fruit and cut into it, and found that it looked really odd inside.

We consulted Texas A&M AgriLife Extension fruit specialist Jim Kamas, who believes that this tree is ‘Orient’, a European cultivar. These pears have a very high grit cell concentration, and are rock-hard at harvest.

Pears continue to ripen after harvest, converting those grit cells to sugars during the ripening process. But if you put them in the freezer prior to ripening, the cells are frozen and will never be converted to sugars.

So…what to do about this? First, pick them when the color changes from green to yellow and put them in a paper bag in the fridge for about a week. These cool temps substitute for natural fall temperatures and prime the fruit to ripen. Afterwards, remove from the fridge and individually wrap each fruit in newspaper then place in a cardboard box in a cool, darkish place. Plastic storage does not allow enough air exchange, so don’t go that route. And definitely don’t freeze them.

Watch more Question of the Week videos on YouTube →

Plant of the Week

Carrion Plant

Carrion Plant

_The article is interrupted by records of molecules_
- - -
1.
{"formula": "C3H6B3F7NO3", "method": "wB97M-V/def2-TZVPD", "species": ["F", "F", "F", "F", "F", "F", "F", "O", "O", "O", "N", "C", "C", "C", "B", "B", "B", "H", "H", "H", "H", "H", "H"], "coordinates": [[1.509, -0.473, 1.277], [0.876, -1.407, -2.048], [2.261, 0.182, -1.440], [0.001, 1.264, -2.073], [2.619, -1.919, 0.086], [0.471, -2.179, 0.415], [0.137, 1.278, 0.104], [-2.341, 0.147, 0.131], [-1.935, -1.196, -1.757], [-3.296, -2.043, 0.032], [1.803, 3.147, 1.591], [1.447, -1.287, 0.212], [-0.048, 0.455, -0.986], [1.152, -0.498, -1.086], [-2.565, -2.268, -1.120], [-2.776, -1.009, 0.783], [-1.515, -0.239, -0.896], [1.764, 3.951, 0.962], [-2.419, -3.368, -1.524], [-2.593, -1.171, 1.944], [1.219, 2.393, 1.212], [1.459, 3.417, 2.514], [2.769, 2.822, 1.669]], "total_energy_ha": -1172.02648, "e_homo_ha": -0.534, "homo_lumo_gap_ha": 0.3810, "de_lowest_kcal_mol": 0.0, "charge": 1}

***

2.
{"formula": "C6H8", "method": "wB97M-V/def2-TZVPD", "species": ["C", "C", "C", "C", "C", "C", "H", "H", "H", "H", "H", "H", "H", "H"], "coordinates": [[-1.139, -0.866, -0.182], [0.500, 0.435, -1.043], [0.324, -0.867, -0.393], [-1.489, 0.309, 0.201], [-0.113, 0.925, 0.354], [0.769, -0.363, 1.019], [-0.116, 2.067, 0.643], [1.025, -1.608, -0.819], [-2.306, 0.788, 0.620], [0.761, -0.763, 2.081], [1.592, 0.846, -1.076], [1.829, -0.132, 0.948], [-1.699, -1.720, -0.507], [0.062, 0.949, -1.848]], "total_energy_ha": -233.26712, "e_homo_ha": -0.329, "homo_lumo_gap_ha": 0.3726, "de_lowest_kcal_mol": 75.2, "charge": 0}

***

3.
{"formula": "C3H11NOS", "method": "wB97M-V/def2-TZVPD", "species": ["S", "O", "N", "C", "C", "C", "H", "H", "H", "H", "H", "H", "H", "H", "H", "H", "H"], "coordinates": [[-1.405, -0.134, -1.178], [1.246, -0.961, 1.026], [2.666, 0.109, -0.739], [-2.479, 1.307, 0.940], [-1.365, 0.334, 0.585], [2.554, -0.554, 0.555], [-2.457, 1.504, 2.010], [-0.438, 0.759, 0.943], [2.490, 1.086, -0.546], [2.957, 0.109, 1.324], [0.809, -1.236, 0.199], [1.914, -0.180, -1.347], [-2.289, 2.242, 0.408], [-1.554, -0.628, 1.062], [-3.455, 0.904, 0.666], [-0.109, -0.259, -1.472], [3.149, -1.471, 0.580]], "smiles": "CCS.NCO", "total_energy_ha": -649.04663, "e_homo_ha": -0.340, "homo_lumo_gap_ha": 0.3651, "de_lowest_kcal_mol": 22.2, "charge": 0}

***

4.
- - -

Stapelia gigantea

Thanks to gardeners Mimi Cavender and Joel Venable in Wimberley for recommending distinctive Stapelia gigantea, commonly known as carrion plant. And thanks for the great photographs which include their gorgeous stone wall. For them in the Hill Country, Stapelia gigantea is a wonder plant, since its stunning foliage and flowers are DEER-PROOF, and those gorgeous flowers catch pesky flies quite naturally. They got started with divisions, since this succulent is easily propagated by rooting in water, soil, or natural layering. They tell us, “Potted in full sun to dappled shade atop ledges or on patio walls, it pushes up dense crowds of rich green fleshy spires and tumbles down in unstoppable cascades. It blooms all summer.” And this year, it bloomed again in fall! Now and then, they fertilize with fish emulsion and provide moderate water. Now that the foliage is so heavy, they cocoon their containers in old quilts when temps hit the low 20’s. The plants droop a bit, but bounce right back!
